• Brief:
Duplicate everything underneath verbatim.
• Given:
'''
VASP calculation (PBE) on an optimized crystal structure of BPBr2NCl3.

Unit cell a=9.3053 b=9.3053 c=10.4919 alpha=90.00 beta=90.00 gamma=84.92
Last column: nearest neighbours and their distance in Å.
Positions (direct):
B: 0.0802 0.0802 0.0000  2 N 1.56
B: 0.4198 0.4198 0.5000  2 N 1.56
B: 0.5802 0.5802 0.5000  2 N 1.56
B: 0.9198 0.9198 0.0000  2 N 1.56
P: 0.0008 0.9992 0.7465  1 N 1.57
P: 0.4992 0.5008 0.2465  1 N 1.57
P: 0.5008 0.4992 0.7535  1 N 1.57
P: 0.9992 0.0008 0.2535  1 N 1.57
Br: 0.0341 0.2969 0.9800  1 B 2.03
Br: 0.2031 0.4659 0.5200  1 B 2.03
Br: 0.2969 0.0341 0.0200  1 B 2.03
Br: 0.4659 0.2031 0.4800  1 B 2.03
Br: 0.5341 0.7969 0.5200  1 B 2.03
Br: 0.7031 0.9659 0.9800  1 B 2.03
Br: 0.7969 0.5341 0.4800  1 B 2.03
Br: 0.9659 0.7031 0.0200  1 B 2.03
N: 0.0112 0.9888 0.8961  2 B 1.56, 1 P 1.57
N: 0.4888 0.5112 0.3961  2 B 1.56, 1 P 1.57
N: 0.5112 0.4888 0.6039  2 B 1.56, 1 P 1.57
N: 0.9888 0.0112 0.1039  2 B 1.56, 1 P 1.57
Cl: 0.0479 0.1856 0.3286  1 P 1.98
Cl: 0.1469 0.8531 0.3251  1 P 2.00
Cl: 0.1856 0.0479 0.6714  1 P 1.98
Cl: 0.3144 0.4521 0.1714  1 P 1.98
Cl: 0.3531 0.6469 0.8251  1 P 2.00
Cl: 0.4521 0.3144 0.8286  1 P 1.98
Cl: 0.5479 0.6856 0.1714  1 P 1.98
Cl: 0.6469 0.3531 0.1749  1 P 2.00
Cl: 0.6856 0.5479 0.8286  1 P 1.98
Cl: 0.8144 0.9521 0.3286  1 P 1.98
Cl: 0.8531 0.1469 0.6749  1 P 2.00
Cl: 0.9521 0.8144 0.6714  1 P 1.98

Properties
Space-group type: No. 64
Total energy (eV/atom): -4.29


Record 1
NaO2 | GGA-PBE | relaxed

abc: 5.1482 6.5009 9.3758
angles: 90.00 90.00 90.00
Closest atoms and distances in Å follow each position.
Space group Pbca (No. 61)
Symmetry-distinct sites (fractional):
Na (0.1553, 0.2366, 0.1224) (multiplicity 8)  6 O 2.36-2.53
O (0.0776, 0.0568, 0.3433) (multiplicity 8)  1 O 1.35
O (0.2226, 0.5389, 0.4362) (multiplicity 8)  1 O 1.35

Values from the calculation:
Energy of formation from the pure elements   -891 meV/atom
Polymorph energy (0 for the lowest one)   0.022 eV/atom
MP2020-corrected energy   -4.631 eV per atom


Record 2
NaO2 | GGA-PBE | relaxed

abc: 4.3287 4.3287 4.5785
angles: 90.00 90.00 90.00
Closest atoms and distances in Å follow each position.
Space group P4_2/mnm (No. 136)
Symmetry-distinct sites (fractional):
Na (0.0000, 0.0000, 0.0000) (multiplicity 2)  6 O 2.38-2.39
O (0.1107, 0.1107, 0.5000) (multiplicity 4)  1 O 1.36

Values from the calculation:
Energy of formation from the pure elements   -848 meV/atom
Polymorph energy (0 for the lowest one)   0.065 eV/atom
MP2020-corrected energy   -4.588 eV per atom
M_tot   2.00 μB/cell


Record 3
NaO2 | GGA-PBE | relaxed

abc: 5.1951 6.5458 9.2183
angles: 90.00 90.00 90.00
Closest atoms and distances in Å follow each position.
Space group Pbca (No. 61)
Symmetry-distinct sites (fractional):
Na (0.1555, 0.1287, 0.1168) (multiplicity 8)  6 O 2.38-2.64
O (0.0670, 0.2009, 0.8396) (multiplicity 8)  1 O 1.37
O (0.1747, 0.1373, 0.4124) (multiplicity 8)  1 O 1.37

Values from the calculation:
Energy of formation from the pure elements   -837 meV/atom
Polymorph energy (0 for the lowest one)   0.077 eV/atom
MP2020-corrected energy   -4.576 eV per atom
M_tot   8.00 μB/cell


Record 4
NaO2 | GGA-PBE | relaxed

abc: 4.4285 4.4285 6.5606
angles: 90.00 90.00 120.00
Closest atoms and distances in Å follow each position.
Space group R-3m (No. 166, hexagonal axes)
Symmetry-distinct sites (fractional):
Na (0.0000, 0.0000, 0.0000) (multiplicity 3)  8 O 2.59-2.60
O (0.0000, 0.0000, 0.3965) (multiplicity 6)  1 O 1.36

Values from the calculation:
Energy of formation from the pure elements   -798 meV/atom
Polymorph energy (0 for the lowest one)   0.115 eV/atom
MP2020-corrected energy   -4.538 eV per atom
M_tot   3.00 μB/cell


Record 5
NaO2 | GGA-PBE | relaxed

abc: 5.5229 5.5229 5.5229
angles: 90.00 90.00 90.00
Closest atoms and distances in Å follow each position.
Space group Pa-3 (No. 205)
Symmetry-distinct sites (fractional):
Na (0.0000, 0.0000, 0.0000) (multiplicity 4)  6 O 2.43
O (0.0708, 0.5708, 0.9292) (multiplicity 8)  1 O 1.35
'''
• Solution:
VASP calculation (PBE) on an optimized crystal structure of BPBr2NCl3.

Unit cell a=9.3053 b=9.3053 c=10.4919 alpha=90.00 beta=90.00 gamma=84.92
Last column: nearest neighbours and their distance in Å.
Positions (direct):
B: 0.0802 0.0802 0.0000  2 N 1.56
B: 0.4198 0.4198 0.5000  2 N 1.56
B: 0.5802 0.5802 0.5000  2 N 1.56
B: 0.9198 0.9198 0.0000  2 N 1.56
P: 0.0008 0.9992 0.7465  1 N 1.57
P: 0.4992 0.5008 0.2465  1 N 1.57
P: 0.5008 0.4992 0.7535  1 N 1.57
P: 0.9992 0.0008 0.2535  1 N 1.57
Br: 0.0341 0.2969 0.9800  1 B 2.03
Br: 0.2031 0.4659 0.5200  1 B 2.03
Br: 0.2969 0.0341 0.0200  1 B 2.03
Br: 0.4659 0.2031 0.4800  1 B 2.03
Br: 0.5341 0.7969 0.5200  1 B 2.03
Br: 0.7031 0.9659 0.9800  1 B 2.03
Br: 0.7969 0.5341 0.4800  1 B 2.03
Br: 0.9659 0.7031 0.0200  1 B 2.03
N: 0.0112 0.9888 0.8961  2 B 1.56, 1 P 1.57
N: 0.4888 0.5112 0.3961  2 B 1.56, 1 P 1.57
N: 0.5112 0.4888 0.6039  2 B 1.56, 1 P 1.57
N: 0.9888 0.0112 0.1039  2 B 1.56, 1 P 1.57
Cl: 0.0479 0.1856 0.3286  1 P 1.98
Cl: 0.1469 0.8531 0.3251  1 P 2.00
Cl: 0.1856 0.0479 0.6714  1 P 1.98
Cl: 0.3144 0.4521 0.1714  1 P 1.98
Cl: 0.3531 0.6469 0.8251  1 P 2.00
Cl: 0.4521 0.3144 0.8286  1 P 1.98
Cl: 0.5479 0.6856 0.1714  1 P 1.98
Cl: 0.6469 0.3531 0.1749  1 P 2.00
Cl: 0.6856 0.5479 0.8286  1 P 1.98
Cl: 0.8144 0.9521 0.3286  1 P 1.98
Cl: 0.8531 0.1469 0.6749  1 P 2.00
Cl: 0.9521 0.8144 0.6714  1 P 1.98

Properties
Space-group type: No. 64
Total energy (eV/atom): -4.29


Record 1
NaO2 | GGA-PBE | relaxed

abc: 5.1482 6.5009 9.3758
angles: 90.00 90.00 90.00
Closest atoms and distances in Å follow each position.
Space group Pbca (No. 61)
Symmetry-distinct sites (fractional):
Na (0.1553, 0.2366, 0.1224) (multiplicity 8)  6 O 2.36-2.53
O (0.0776, 0.0568, 0.3433) (multiplicity 8)  1 O 1.35
O (0.2226, 0.5389, 0.4362) (multiplicity 8)  1 O 1.35

Values from the calculation:
Energy of formation from the pure elements   -891 meV/atom
Polymorph energy (0 for the lowest one)   0.022 eV/atom
MP2020-corrected energy   -4.631 eV per atom


Record 2
NaO2 | GGA-PBE | relaxed

abc: 4.3287 4.3287 4.5785
angles: 90.00 90.00 90.00
Closest atoms and distances in Å follow each position.
Space group P4_2/mnm (No. 136)
Symmetry-distinct sites (fractional):
Na (0.0000, 0.0000, 0.0000) (multiplicity 2)  6 O 2.38-2.39
O (0.1107, 0.1107, 0.5000) (multiplicity 4)  1 O 1.36

Values from the calculation:
Energy of formation from the pure elements   -848 meV/atom
Polymorph energy (0 for the lowest one)   0.065 eV/atom
MP2020-corrected energy   -4.588 eV per atom
M_tot   2.00 μB/cell


Record 3
NaO2 | GGA-PBE | relaxed

abc: 5.1951 6.5458 9.2183
angles: 90.00 90.00 90.00
Closest atoms and distances in Å follow each position.
Space group Pbca (No. 61)
Symmetry-distinct sites (fractional):
Na (0.1555, 0.1287, 0.1168) (multiplicity 8)  6 O 2.38-2.64
O (0.0670, 0.2009, 0.8396) (multiplicity 8)  1 O 1.37
O (0.1747, 0.1373, 0.4124) (multiplicity 8)  1 O 1.37

Values from the calculation:
Energy of formation from the pure elements   -837 meV/atom
Polymorph energy (0 for the lowest one)   0.077 eV/atom
MP2020-corrected energy   -4.576 eV per atom
M_tot   8.00 μB/cell


Record 4
NaO2 | GGA-PBE | relaxed

abc: 4.4285 4.4285 6.5606
angles: 90.00 90.00 120.00
Closest atoms and distances in Å follow each position.
Space group R-3m (No. 166, hexagonal axes)
Symmetry-distinct sites (fractional):
Na (0.0000, 0.0000, 0.0000) (multiplicity 3)  8 O 2.59-2.60
O (0.0000, 0.0000, 0.3965) (multiplicity 6)  1 O 1.36

Values from the calculation:
Energy of formation from the pure elements   -798 meV/atom
Polymorph energy (0 for the lowest one)   0.115 eV/atom
MP2020-corrected energy   -4.538 eV per atom
M_tot   3.00 μB/cell


Record 5
NaO2 | GGA-PBE | relaxed

abc: 5.5229 5.5229 5.5229
angles: 90.00 90.00 90.00
Closest atoms and distances in Å follow each position.
Space group Pa-3 (No. 205)
Symmetry-distinct sites (fractional):
Na (0.0000, 0.0000, 0.0000) (multiplicity 4)  6 O 2.43
O (0.0708, 0.5708, 0.9292) (multiplicity 8)  1 O 1.35